The reader should repeat everything below word for word.
+++
23
Properties=species:S:1:pos:R:3:mulliken_charge:R:1 method="wB97M-V/def2-TZVPD" total_energy_ev=-19799.1190 relative_energy_ev=4.8462 total_charge=+1 e_homo_ev="-11.41 / -11.47" homo_lumo_gap_ha="0.25843 / 0.25194"
C -1.35107 -0.48871 -1.64068 -0.193
C -1.37356 -1.95964 -1.64367 -0.572
C 1.75441 2.15279 0.39667 -1.309
C -1.67218 -0.07137 1.60852 -0.923
C 2.16422 0.74342 0.75598 0.025
C -1.75609 -1.25705 0.77903 -0.035
C 1.71534 -0.30484 -0.18822 -0.528
N -1.60132 -1.12077 -0.49041 0.075
S 0.97001 -0.31468 -1.74455 -0.040
H -1.84929 0.34626 -2.08088 0.411
H -2.14329 -2.52346 -2.15413 0.302
H -0.30383 -2.21565 -1.61133 0.201
H 1.76772 2.83713 1.23974 0.337
H 2.31624 2.58157 -0.43320 0.384
H 0.70456 2.22131 0.03397 0.320
H -2.43662 0.55592 1.18929 0.350
H -1.88116 -0.24868 2.69800 0.325
H -0.77310 0.55631 1.46115 0.157
H 1.56387 0.49080 1.70994 0.202
H 3.22024 0.54800 0.83125 0.342
H -1.90996 -2.17533 1.26742 0.445
H 1.69674 -1.25023 0.23341 0.505
H 1.17812 0.89691 -2.21727 0.220

14
Properties=species:S:1:pos:R:3:mulliken_charge:R:1 method="wB97M-V/def2-TZVPD" total_energy_ev=-14312.9462 relative_energy_ev=1.4923 total_charge=+1 e_homo_ev=-13.57 homo_lumo_gap_ha=0.33821
C 1.14457 -0.63845 0.08096 -0.135
C -0.25318 1.70872 0.33164 -1.129
C -0.39685 0.43594 -0.56957 0.362
N 1.05122 -1.90333 0.26098 -0.247
N -1.49411 -0.35735 -0.39690 -0.452
I 3.02924 0.23767 0.00251 0.277
H -1.18375 1.77023 0.96069 0.319
H 0.61720 1.62103 1.05969 0.331
H -0.14340 2.63778 -0.23383 0.272
H -0.25503 0.30999 -1.65730 0.474
H 1.74731 -2.49425 0.49885 0.209
H 0.04465 -2.31906 0.34225 0.294
H -2.04748 -0.53482 -1.19964 0.200
H -1.86038 -0.47410 0.51968 0.226

42
Properties=species:S:1:pos:R:3:mulliken_charge:R:1 method="wB97M-V/def2-TZVPD" total_energy_ev=-32247.4628 total_charge=+1 e_homo_ev=-10.63 homo_lumo_gap_ha=0.23608
C 0.77257 -2.07303 2.68626 -0.535
C -0.75036 -1.99349 2.64201 -0.651
N -1.01312 -2.16741 1.23483 0.102
C -2.29469 -2.32024 0.59674 -0.621
C -1.95245 -2.43726 -0.89099 -0.473
S -0.17043 -2.78795 -1.09579 -0.152
C 0.15059 -2.42647 0.57251 0.245
N 1.22424 -2.36073 1.30831 -0.289
H 1.19777 -1.12198 3.04342 0.283
H 1.08838 -2.87299 3.37110 0.319
H -1.23519 -2.78445 3.23015 0.262
H -1.13462 -1.02635 2.98425 0.282
H -2.81795 -3.21955 0.95658 0.275
H -2.92412 -1.44757 0.80791 0.290
H -2.52792 -3.21269 -1.40327 0.402
H -2.12784 -1.48169 -1.40003 0.305
C 5.72652 -4.52678 3.48931 -0.740
N 5.60149 -3.14877 3.03121 0.087
C 6.45258 -2.14764 3.66226 -0.886
C 4.66729 -2.81069 2.15187 -0.277
C 4.42503 -1.49245 1.72333 -0.266
C 3.91559 -1.22409 0.47038 -0.115
C 3.75974 0.09779 -0.07205 0.747
C 3.70485 0.30704 -1.47698 -0.363
C 3.57325 1.58484 -2.00707 -0.596
C 3.47133 2.69495 -1.15281 -0.343
C 3.52181 2.51203 0.23698 -0.715
C 3.67369 1.23565 0.77279 -0.302
H 6.59392 -4.58924 4.15361 0.244
H 4.81941 -4.83459 4.03041 0.335
H 5.86370 -5.20001 2.63364 0.331
H 7.16871 -2.67913 4.29481 0.299
H 7.00343 -1.56024 2.91678 0.349
H 5.86787 -1.45866 4.28697 0.342
H 4.08536 -3.62114 1.70051 0.481
H 4.70333 -0.67370 2.39415 0.265
H 3.68857 -2.06844 -0.18360 0.309
H 3.78281 -0.56427 -2.13095 0.367
H 3.55026 1.72642 -3.08867 0.383
H 3.35520 3.69475 -1.56791 0.387
H 3.43998 3.37112 0.90410 0.378
H 3.70448 1.09293 1.85518 0.257

7
Properties=species:S:1:pos:R:3:mulliken_charge:R:1 method="wB97M-V/def2-TZVPD" smiles="N#CC(=O)C=O" total_energy_ev=-8710.2864 relative_energy_ev=0.0586 e_homo_ev=-11.23 homo_lumo_gap_ha=0.34434
O -1.15577 -1.54761 -0.11379 -0.400
C -1.12158 -0.35882 0.04337 0.040
C 0.14826 0.49105 -0.05376 0.524
O 0.03569 1.68078 -0.20895 -0.401
C 1.48926 -0.11440 0.02145 0.195
N 2.60320 -0.41903 0.09203 -0.301
H -2.00429 0.28254 0.22722 0.342

Per-record largest force on an atom, eV/A: 3.42, 5.92, 1.82, 1.22

=====

# C16H22N4O2S

A structure of composition C16H22N4O2S at a distorted geometry (ωB97M-V with the def2-TZVPD basis set, OMol25).

Computed properties:
Net charge ... 0
HOMO ... -9.23 eV
Frontier orbital gap ... 9.899 eV
+++
23
Properties=species:S:1:pos:R:3:mulliken_charge:R:1 method="wB97M-V/def2-TZVPD" total_energy_ev=-19799.1190 relative_energy_ev=4.8462 total_charge=+1 e_homo_ev="-11.41 / -11.47" homo_lumo_gap_ha="0.25843 / 0.25194"
C -1.35107 -0.48871 -1.64068 -0.193
C -1.37356 -1.95964 -1.64367 -0.572
C 1.75441 2.15279 0.39667 -1.309
C -1.67218 -0.07137 1.60852 -0.923
C 2.16422 0.74342 0.75598 0.025
C -1.75609 -1.25705 0.77903 -0.035
C 1.71534 -0.30484 -0.18822 -0.528
N -1.60132 -1.12077 -0.49041 0.075
S 0.97001 -0.31468 -1.74455 -0.040
H -1.84929 0.34626 -2.08088 0.411
H -2.14329 -2.52346 -2.15413 0.302
H -0.30383 -2.21565 -1.61133 0.201
H 1.76772 2.83713 1.23974 0.337
H 2.31624 2.58157 -0.43320 0.384
H 0.70456 2.22131 0.03397 0.320
H -2.43662 0.55592 1.18929 0.350
H -1.88116 -0.24868 2.69800 0.325
H -0.77310 0.55631 1.46115 0.157
H 1.56387 0.49080 1.70994 0.202
H 3.22024 0.54800 0.83125 0.342
H -1.90996 -2.17533 1.26742 0.445
H 1.69674 -1.25023 0.23341 0.505
H 1.17812 0.89691 -2.21727 0.220

14
Properties=species:S:1:pos:R:3:mulliken_charge:R:1 method="wB97M-V/def2-TZVPD" total_energy_ev=-14312.9462 relative_energy_ev=1.4923 total_charge=+1 e_homo_ev=-13.57 homo_lumo_gap_ha=0.33821
C 1.14457 -0.63845 0.08096 -0.135
C -0.25318 1.70872 0.33164 -1.129
C -0.39685 0.43594 -0.56957 0.362
N 1.05122 -1.90333 0.26098 -0.247
N -1.49411 -0.35735 -0.39690 -0.452
I 3.02924 0.23767 0.00251 0.277
H -1.18375 1.77023 0.96069 0.319
H 0.61720 1.62103 1.05969 0.331
H -0.14340 2.63778 -0.23383 0.272
H -0.25503 0.30999 -1.65730 0.474
H 1.74731 -2.49425 0.49885 0.209
H 0.04465 -2.31906 0.34225 0.294
H -2.04748 -0.53482 -1.19964 0.200
H -1.86038 -0.47410 0.51968 0.226

42
Properties=species:S:1:pos:R:3:mulliken_charge:R:1 method="wB97M-V/def2-TZVPD" total_energy_ev=-32247.4628 total_charge=+1 e_homo_ev=-10.63 homo_lumo_gap_ha=0.23608
C 0.77257 -2.07303 2.68626 -0.535
C -0.75036 -1.99349 2.64201 -0.651
N -1.01312 -2.16741 1.23483 0.102
C -2.29469 -2.32024 0.59674 -0.621
C -1.95245 -2.43726 -0.89099 -0.473
S -0.17043 -2.78795 -1.09579 -0.152
C 0.15059 -2.42647 0.57251 0.245
N 1.22424 -2.36073 1.30831 -0.289
H 1.19777 -1.12198 3.04342 0.283
H 1.08838 -2.87299 3.37110 0.319
H -1.23519 -2.78445 3.23015 0.262
H -1.13462 -1.02635 2.98425 0.282
H -2.81795 -3.21955 0.95658 0.275
H -2.92412 -1.44757 0.80791 0.290
H -2.52792 -3.21269 -1.40327 0.402
H -2.12784 -1.48169 -1.40003 0.305
C 5.72652 -4.52678 3.48931 -0.740
N 5.60149 -3.14877 3.03121 0.087
C 6.45258 -2.14764 3.66226 -0.886
C 4.66729 -2.81069 2.15187 -0.277
C 4.42503 -1.49245 1.72333 -0.266
C 3.91559 -1.22409 0.47038 -0.115
C 3.75974 0.09779 -0.07205 0.747
C 3.70485 0.30704 -1.47698 -0.363
C 3.57325 1.58484 -2.00707 -0.596
C 3.47133 2.69495 -1.15281 -0.343
C 3.52181 2.51203 0.23698 -0.715
C 3.67369 1.23565 0.77279 -0.302
H 6.59392 -4.58924 4.15361 0.244
H 4.81941 -4.83459 4.03041 0.335
H 5.86370 -5.20001 2.63364 0.331
H 7.16871 -2.67913 4.29481 0.299
H 7.00343 -1.56024 2.91678 0.349
H 5.86787 -1.45866 4.28697 0.342
H 4.08536 -3.62114 1.70051 0.481
H 4.70333 -0.67370 2.39415 0.265
H 3.68857 -2.06844 -0.18360 0.309
H 3.78281 -0.56427 -2.13095 0.367
H 3.55026 1.72642 -3.08867 0.383
H 3.35520 3.69475 -1.56791 0.387
H 3.43998 3.37112 0.90410 0.378
H 3.70448 1.09293 1.85518 0.257

7
Properties=species:S:1:pos:R:3:mulliken_charge:R:1 method="wB97M-V/def2-TZVPD" smiles="N#CC(=O)C=O" total_energy_ev=-8710.2864 relative_energy_ev=0.0586 e_homo_ev=-11.23 homo_lumo_gap_ha=0.34434
O -1.15577 -1.54761 -0.11379 -0.400
C -1.12158 -0.35882 0.04337 0.040
C 0.14826 0.49105 -0.05376 0.524
O 0.03569 1.68078 -0.20895 -0.401
C 1.48926 -0.11440 0.02145 0.195
N 2.60320 -0.41903 0.09203 -0.301
H -2.00429 0.28254 0.22722 0.342

Per-record largest force on an atom, eV/A: 3.42, 5.92, 1.82, 1.22

=====

# C16H22N4O2S

A structure of composition C16H22N4O2S at a distorted geometry (ωB97M-V with the def2-TZVPD basis set, OMol25).

Computed properties:
Net charge ... 0
HOMO ... -9.23 eV
Frontier orbital gap ... 9.899 eV